Hearts of Iron IV

Hearts of Iron IV

Dreams of Carthage 2.0
65 Komentar
bruh moment 5 Sep @ 2:13am 
The portraits of all the leaders are now generic leaders
can the devs pls update this mod its cool
[Z] EMKP 15 Jun @ 1:24am 
if you update this mod i'll get on my knees
Capt.Darling 22 Mei @ 8:42am 
France doesn't even surrender when you capture all victory points.
DracoDruid 14 Apr @ 3:12am 
Hey there!
Love the mod. One question though: Is there any chance to make a version compatible to R56?
[Z] EMKP 28 Jan @ 3:07pm 
update when please i'll get on my knees and s
Soldato👑 12 Des 2023 @ 4:48pm 
Historically Carthage was a puppet state of Phoenicia(modern Day Lebanon). But the mod it self quite nice
[Z] EMKP 5 Des 2023 @ 8:58pm 
when will update :steamsad:
Hungrygoats 24 Okt 2023 @ 4:14pm 
Viva Cristo Rey [Z] 3 Jul 2023 @ 5:07am 
Господа сограждане,сделайте руссификатор кто может
Roben 18 Feb 2023 @ 11:43am 
Please upgrade the dream of White Russia, there is also a well-developed Ukrainian state,
donald.grape 3 Jan 2023 @ 1:18pm 
Do you plan to update this along with all of your other mods? (Poland, Austria, Finland)
Panicwing 20 Okt 2022 @ 6:34am 
It keeps crashing whenever i try to invade france after the "Kickstart the Revolution".
Nacht Blackwell 1 Okt 2022 @ 3:15am 
I am enjoying your revised mod.
Chirpy 6 Sep 2022 @ 7:13am 
For me it doesnt really working, I tried to start a new game and tunisia(as I saw from a hoi4 video where he played with this mod) wasn't even on the map, I dont know what did I wrong, please someone tell me
Mr.ShadeO  [pembuat] 27 Jul 2022 @ 11:22am 
@Jamiebear Sorry, I'm taking a break from ww2 mods for a while. Kind of burnt out on the era. But if I come back to ww2, I'd either do the commonwealth or germany next.
Jamiebear 27 Jul 2022 @ 10:31am 
Could you make a Dreams of Commonwealth (That Would Expand Commonwealth Nations Focus Trees Including the UK)
Mr.ShadeO  [pembuat] 24 Jul 2022 @ 4:01pm 
@LemonZhanger thanks I'll add it
LemonZhanger 24 Jul 2022 @ 1:12am 
Hey, I had made the Chinese version out!
Mr.ShadeO  [pembuat] 23 Jul 2022 @ 5:03pm 
@MinotaurKing Thanks, I'll take a look and see if I can replicate the bug
Mr.ShadeO  [pembuat] 23 Jul 2022 @ 5:02pm 
@LemonZhanger go for it. Give me a link to your translation and I'll add it to the mod page
LemonZhanger 23 Jul 2022 @ 12:04am 
Hello, this mod are great. Can I please translate it into Chinese?
BrassMino 22 Jul 2022 @ 2:02am 
which bugs the EwF focus which you can only get to AFTER the RLAdA focus thereby guananteeing that you will always be boned as without getting independence you die the moment France capitualates as you will be their subject but since the EwF focus bugs out as it stated the only other way to get independent is through the autonomy system which is impossible even if you start raising your autonomy through the continueous focus from the moment it is available.(not enough time before germany goes wild and requires you to sacrifice doing other focus to get better troops and better industry which will get you killed in short order.) You also cant just do the EwF focus after France capitualates as even though the game shows you as not being a puppet anymore you will auto lose after completing the EwF focus.
BrassMino 22 Jul 2022 @ 2:02am 
( I have tested mutliple times with all factions in order to make sure it wasn't limited to a specific faction.) as such when you complete this focus EwF later in the game not only do you and France leave whatever faction you joined/created prior but you DO NOT become independent. I have absolutely no clue why this occurs.this bug makes a democratic Tunisia run impossible as the Rally L'Armee d'Afrique requires you to be at war which due to how being a puppet/colony/dominion works as all have the rule set that you cant declare wars yourself means you will have to be dragged into a war by France which will always have them be in a faction
BrassMino 22 Jul 2022 @ 2:01am 
So for some reason the focus Equal with France bugs out when France joins or creates a faction and as such drags you with them. So prior to France joining a faction or France creating another faction the focus Equals with France states that France will create the French Sphere faction and their puppet the Protectorate of Tunisia will become independent from France and the PoT will join the new faction. however when France joins or creates a faction dragging the PoT with them the focus changes and the part where PoT becomes independent disappears.
CanadianJason 18 Jul 2022 @ 4:44pm 
Could I use this with Road to 56?
NotaKing 17 Jul 2022 @ 9:36pm 
Loved forming Carthage and dunking on Italy (Wishing I had more ships) it was a challenge but very rewarding. I'm excited to do a democratic play-through.
TiberWolf 17 Jul 2022 @ 3:27pm 
Rally L'Armee d'Afrique looks like it has to be taken while you're at war. Dominions cannot decline calls to arms. (take a look at Canada on game start) It takes three 56 day focii for you to be able to become free of France, including that focus, which means they have to survive that long against the Germans who on historical might be a bit tricky.
captain403 16 Jul 2022 @ 10:20am 
A: Have to join war, dominion of France.
B: Can't leave faction 1/dominion of France, 2/ at war.
C: Didn't lose ANY land whatsoever, but seeing as France is now the only major in the faction, I am forced to surrender when they do.

Sorry to say, this modder hasn't got a clue on the rules of the game and instead likes to blame others for his ignorance.

Mr.ShadeO  [pembuat] 16 Jul 2022 @ 9:45am 
Honestly sounds more like a skill issue. You can a) not join the war, b) immediately leave the faction, or c) don't actually lose any of your cores. You will not get annexed, even if France falls, if you do not lose any land. Me and my playtesters never ran into this problem. If I *didn't* give the player a major to be in a faction with them, then you and others would be complaining that it's too hard to take on the Allies to get all of your possible territory.

Crystal structures, as found in the file =
<<<
{
  "formula": "AlPO4",
  "functional": "GGA-PBE",
  "state": "relaxed",
  "total_energy_ev_per_fu": -44.87,
  "cell": [[-3.836, -7.416, -2.123], [8.056, -6.834, 9.318], [-16.727, 3.728, 17.196]],
  "species": ["O", "O", "O", "O", "O", "O", "O", "O", "O", "O", "O", "O", "O", "O", "O", "O", "O", "O", "O", "O", "O", "O", "O", "O", "O", "O", "O", "O", "O", "O", "O", "O", "O", "O", "O", "O", "O", "O", "O", "O", "O", "O", "O", "O", "O", "O", "O", "O", "O", "O", "O", "O", "O", "O", "O", "O", "O", "O", "O", "O", "O", "O", "O", "O", "O", "O", "O", "O", "O", "O", "O", "O", "O", "O", "O", "O", "O", "O", "O", "O", "O", "O", "O", "O", "O", "O", "O", "O", "O", "O", "O", "O", "O", "O", "O", "O", "P", "P", "P", "P", "P", "P", "P", "P", "P", "P", "P", "P", "P", "P", "P", "P", "P", "P", "P", "P", "P", "P", "P", "P", "Al", "Al", "Al", "Al", "Al", "Al", "Al", "Al", "Al", "Al", "Al", "Al", "Al", "Al", "Al", "Al", "Al", "Al", "Al", "Al", "Al", "Al", "Al", "Al"],
>>>

I'm sorry to say, this player just has a serious skill issue and his game plan just wasn't well thought out.
Mr.ShadeO  [pembuat] 16 Jul 2022 @ 9:29am 
@captain403 no
captain403 16 Jul 2022 @ 9:12am 
Why does the democratic path have France create it's own faction? All this achieves is North Africa being annexed when France surrenders.

I'm sorry to say, this version of the mod really hasn't been well thought out. Is there any chance you can update the old version to work with the current version of the game? It was much more enjoyable than this one.
KaiserDoge 16 Jul 2022 @ 8:21am 
Glad to see one of my favorite mods get an update it deserves.
TiberWolf 15 Jul 2022 @ 10:34pm 
The Social Streamers just made a video about your mod and it highlighted how well made the mod looked to be. Here to try it out because of that!
Commander Prussia 15 Jul 2022 @ 8:40am 
today do be my bday!
Commander Prussia 15 Jul 2022 @ 8:29am 
Mr.ShadeO oh sorry id did not know that you had a discord
Cronos Дpyr 15 Jul 2022 @ 3:17am 
As a lover of total war Rome, I will play this mod absolutely every time. Would like more mods like this.
Mr.ShadeO  [pembuat] 14 Jul 2022 @ 7:00pm 
@Commander Prussia I can't really make a comeback because I never left. If you want updates on what we're working on, join our discord. Haven't posted anything yet, but I plan to soon, maybe this weekend.
Commander Prussia 14 Jul 2022 @ 6:50pm 
@Mr.ShadeO ARE YOU MAKEING A COME BACK? id I really like a revamp that Austria mod you made made?
Mr.ShadeO  [pembuat] 14 Jul 2022 @ 6:01pm 
Fixed it. Thanks again for the heads up!
Mr.ShadeO  [pembuat] 14 Jul 2022 @ 5:55pm 
@Cyber Nope! Thanks for pointing that out. That's a nifty little side effect of the horrible hoi4 launcher. I forgot to copy and paste the description when I updated it, something that you have to do every time! :D
Cyber 14 Jul 2022 @ 5:01pm 
Is the mod description meant to cut off at "To see..."?
zywiec_zdroj69 14 Jul 2022 @ 9:45am 
Mr.ShadeO  [pembuat] 13 Jul 2022 @ 6:28pm 
Actually, I'll just make them cores when you complete the focus. That way if you do have to attack them, it's easier with them as cores.
Mr.ShadeO  [pembuat] 13 Jul 2022 @ 6:27pm 
@Brawly That sounds like a bug with the game itself, not the mod. Try resubscribing to the mod. If that doesn't work, verify the integrity of the game files.

Misplaced crystal structures:
<<<
Entry 1:
A geometry-optimized BaLiF3 structure, computed with meta-GGA r2SCAN.

Summary:
The magnetization is 0.0 μB per formula unit. The theoretical density comes out at 5267 kg/m3.

a = 3.989 Å, b = 3.989 Å, c = 3.989 Å
α = 90.00°, β = 90.00°, γ = 90.00°
Space group Pm-3m (No. 221)
Symmetry-distinct sites (fractional):
Ba 0.000 0.000 0.000
Li 0.500 0.500 0.500
F 0.000 0.500 0.500

=====

Entry 2:
A geometry-optimized MgO structure, computed with meta-GGA r2SCAN.

Summary:
The magnetization is 0.0 μB per formula unit. The theoretical density comes out at 3629 kg/m3.

a = 4.194 Å, b = 4.194 Å, c = 4.194 Å
α = 90.00°, β = 90.00°, γ = 90.00°
Space group Fm-3m (No. 225)
Symmetry-distinct sites (fractional):
Mg 0.000 0.000 0.000
O 0.000 0.000 0.500

=====

Entry 3:
A geometry-optimized ThN structure, computed with meta-GGA r2SCAN.

Summary:
The magnetization is 0.0 μB per formula unit. The theoretical density comes out at 11829 kg/m3.

a = 5.170 Å, b = 5.170 Å, c = 5.170 Å
α = 90.00°, β = 90.00°, γ = 90.00°
Space group Fm-3m (No. 225)
Symmetry-distinct sites (fractional):
Th 0.000 0.000 0.000
N 0.000 0.000 0.500

=====

Entry 4:
A geometry-optimized Ce2Ge2IrRh structure, computed with meta-GGA r2SCAN.

Summary:
The magnetization is 1.9 μB per formula unit. The theoretical density comes out at 10078 kg/m3.

a = 4.456 Å, b = 7.465 Å, c = 7.138 Å
α = 90.00°, β = 90.00°, γ = 90.00°
>>>

@captain403 Oh that's true, I'll make it so you can core them by decision if you don't get them through the deal. I'm not going to edit the territory to always be free french though, as that would require editing French and German files, which will affect compatibility.
captain403 13 Jul 2022 @ 2:43pm 
The fix for Sahara will still result in a much weaker federation if there is no way to core those provinces, not to mention a German AI WILL send troops to the area. It would be better if you made those provinces guaranteed to go free French on the surrender, which would fix both problems.
Brawly 13 Jul 2022 @ 2:26pm 
also clicking on the flag at the top left
Brawly 13 Jul 2022 @ 2:25pm 
bug: something to do with opening+closing the focus tree and hitting escape seems to crash the game.
Brawly 13 Jul 2022 @ 10:39am 
Great to have another edition of this mod, I remember playing it about a year ago. I kinda prefer little 1 nation overhauls to the big ones like kaiserreich and red flood. Just gonna say thank you devs, because I don't know who did the bulk of the work.
Mr.ShadeO  [pembuat] 13 Jul 2022 @ 9:57am 
Patched it.